Hello! Here's some stuff
about me!

About Dani's Parents
About Dani Hakuuchi
Name: Dani Hakuuchi
Age: 30 (as of Dawntrail)
Race: Aura - Rean (Color of the scales are white instead of the original Tan)
Favorite Color(s): Red/Brown, Black, White
Married?: Yes with Raynor Rivelazione
Main Weapons: Star of the Demon, Blade's Acumen, Blade's Resolve (Dyed Soot Black), Neo-Ishgardian Longbow (Dyed Abyssal Blue), and Augmented Cryptlurker's War Scythe (Dyed Soot Black)
Allies: Alisaie & Alphinaud Leveilleur (Best Friends since Childhood), Y'shtola, Lyse, Papalymo (Not with us), Minfilia (Not with us), Monbryda (Not with us), Urianger, G'raha, Krile, Tataru, Thancred, Estinien, Cid, Gaius, Lyna, Nidhana, Varshahn, Midsgardsormr, Hraesvelgr, Ryne, ect........
Enemies: Zenos (Him saying we are "Friends"), Ascians (All of them we met), Asahi (Good hes dead), SOME Garleans, ect.........
Likes: Crafting, Studying/Reading, Fighting, Dancing, Friends, Family
Dislikes: Eureka
Personality: She gets mad easily when someone talks rudely about her friends, A Social Butterfly with friends and family but Introvert when she’s alone, is super energetic, she loves hugs, when someone she loves is crying she's always there to hug them.
Origin: Dani was born in Sharlayan in the Dravanian Hinterlands. After the Calamity her, her parents, and others who were living there fled and is now living a happy life in Old Sharlayan with her Mother (Saran Hakuuchi) and Father (Siban Hakuuchi) both of them famous Scientists in the area, she has a White Chocobo named Naga she sometimes sneak in The Studium. She knew the Twins since they were babies and were inseparable ever since.
How she got her White Scales: During her visit to the First she defeats all the Lightwardens gaining all thier light, while doing so she was about to turn into one, which made her scales all white in the process. After a while her scales has became more frequent, growing more on her skin overtime. She sometimes puts lotion on her body to try to get her scales less painful the more it grows. But eventually it stopped growing on her skin, now becoming part of her and she's proud and more confident of her scales.

Name: Saran Hakuuchi
Age: 48
Race: Aura - Rean (white scales)
Job: Scientist, Dani's Mother
Likes: Her Family, Her Friends, Being a Scientist
Dislikes: Getting sick, losing Dani
Origin: Saran is a Aura from Kugane. She met her now Husband in Kugane when she was at the age of 16 Saran and her Parents moved to Sharlayan in the Dravanian Hinterlands (Now in ruins) and soon later married to Siban. Years later after she got married she gave birth to Dani in Dravainan Hinterlands. They lived there for a few more years until Calamity struck and they had to evacuate. They now live in Old Sharlayan. She wasn't born with white scales, a science experiment went wrong and turned her scales white.

Name: Siban Hakuuchi
Age: 52
Race: Aura - Rean
Job: Scientist, Dani's Father
Likes: Reading, His Friends, His Family, Being a Scientist and selling his inventions all over Eorzea
Dislikes: Being sick, losing Dani
Origin: Siban is a Aura from Sui-No-Sato in the Othard, he was always a smart boy at a very young age (and still is) and so he moved to Sharlayan in the Dravanian Hinterlands with his wife Saran. After the Calamity that it destroyed their home they fled and became home to the now Old Sharlayan.
Here's some artwork people has commissioned!

By: @Squaffle on twitter
So far the one above my favorite one out of the ones below

Data records, as found in the file:
-- begin --
# 1
This record from the OMol25 dataset describes a cluster of 11 separate species, C44H88O27 in total at a distorted geometry. The level of theory is the ωB97M-V functional and the def2-TZVPD basis.

- Kohn-Sham gap (eV) = 9.64
- SMILES = CCOC(=O)OC.CCOC(=O)OC.CCOC(=O)OC.CCOC(=O)OC.CCOC(=O)OC.CCOC(=O)OC.CCOC(=O)OC.CCOC(=O)OC.C1CCOC1.C1CCOC1.C1CCOC1
- energy above the lowest of the compared OMol25 structures with the same formula, charge and spin (kcal per mole) = 164.30

```
! wB97M-V def2-TZVPD RIJCOSX def2/J DEFGRID3
* xyz 0 1
H -11.90 -26.55 -26.40
H -9.38 -26.12 -28.46
C -15.87 -28.53 -15.77
O -14.78 -30.65 -23.44
C -18.92 -33.74 -22.60
H -15.38 -17.64 -27.09
C -13.44 -23.76 -17.70
C -20.98 -18.42 -24.80
H -14.37 -32.03 -10.56
H -14.65 -32.50 -20.00
H -12.79 -34.23 -19.99
O -18.35 -34.37 -23.63
C -10.85 -20.27 -29.58
H -19.89 -16.71 -25.30
H -10.40 -21.23 -27.31
H -14.69 -32.96 -12.04
O -16.31 -23.26 -14.50
H -16.77 -35.57 -24.25
O -11.44 -26.49 -28.43
H -11.34 -14.50 -23.71
H -21.98 -20.44 -19.61
H -12.85 -11.46 -29.64
H -15.64 -30.59 -16.04
C -9.92 -28.05 -27.68
C -13.17 -13.95 -29.03
H -12.19 -32.91 -21.08
O -21.64 -20.22 -17.55
C -11.32 -14.38 -22.62
C -13.43 -22.86 -16.49
H -20.72 -25.48 -17.85
O -19.61 -32.68 -23.00
C -11.26 -28.49 -27.27
H -15.79 -25.63 -24.14
H -11.46 -12.24 -30.21
H -15.50 -32.37 -24.36
C -17.65 -22.90 -14.29
O -14.73 -32.44 -22.13
C -15.64 -31.30 -24.45
H -10.28 -14.57 -22.35
H -16.82 -28.68 -15.24
H -11.44 -22.41 -28.17
C -20.27 -31.83 -22.10
H -11.66 -13.39 -22.31
O -13.76 -13.92 -30.13
C -12.18 -15.46 -21.91
O -11.92 -16.69 -22.51
C -21.90 -16.67 -26.16
H -16.70 -31.12 -24.24
C -12.99 -33.63 -20.89
H -22.28 -19.64 -26.08
H -20.23 -20.30 -19.12
H -21.27 -18.91 -19.08
H -16.18 -21.65 -23.47
H -13.05 -32.51 -11.68
H -11.08 -17.06 -31.13
H -10.04 -17.26 -32.51
O -14.43 -23.21 -15.55
C -14.80 -16.72 -27.00
H -19.28 -29.93 -22.60
H -9.42 -17.47 -30.92
H -15.94 -28.14 -16.78
H -15.31 -30.98 -25.44
O -12.30 -13.07 -28.56
H -21.15 -17.99 -23.81
C -14.40 -15.91 -28.30
C -14.41 -33.07 -20.90
C -10.08 -26.93 -28.65
C -22.39 -18.87 -25.31
C -14.36 -31.10 -13.76
H -23.07 -19.28 -24.57
C -15.96 -22.61 -23.00
H -15.50 -16.17 -26.37
O -11.72 -20.50 -28.69
H -10.67 -19.94 -20.86
H -14.44 -23.71 -18.13
C -15.70 -22.70 -15.55
O -14.28 -31.00 -12.39
C -16.52 -24.82 -22.30
C -11.96 -11.97 -29.28
C -20.59 -17.38 -25.82
C -10.76 -19.13 -31.68
H -15.10 -33.91 -20.83
C -14.54 -31.10 -22.23
H -19.96 -23.96 -17.96
O -16.16 -21.83 -16.28
O -9.68 -20.69 -29.67
H -19.80 -29.94 -20.98
H -22.17 -23.94 -16.58
H -17.00 -22.99 -21.15
H -18.02 -23.21 -22.55
O -14.23 -30.33 -21.32
H -13.41 -21.82 -16.80
C -11.76 -17.78 -21.78
O -11.06 -18.64 -22.54
H -21.93 -16.38 -27.21
C -10.29 -17.69 -31.54
H -14.11 -29.74 -16.14
C -10.60 -19.89 -21.95
H -18.46 -30.88 -21.33
H -20.28 -19.25 -24.77
C -12.00 -27.11 -27.33
H -9.60 -20.07 -22.33
H -15.35 -27.75 -15.22
H -11.69 -29.24 -27.93
O -14.79 -29.92 -14.24
H -15.36 -15.59 -28.69
O -22.93 -17.66 -25.78
-- stop --
The data records stop here:

By: @byArcelllis on twitter

By: @Squaffle on twitter

By: @Wildfl0werNymph on twitter

These molecular data were left in the article by mistake:
┌──
{"formula": "C27H68ClN3O18P5", "method": "ωB97M-V/def2-TZVPD", "symbols": ["Cl", "P", "P", "P", "P", "P", "O", "O", "O", "O", "O", "O", "O", "O", "O", "O", "O", "O", "O", "O", "O", "O", "O", "O", "N", "N", "N", "C", "C", "C", "C", "C", "C", "C", "C", "C", "C", "C", "C", "C", "C", "C", "C", "C", "C", "C", "C", "C", "C", "C", "C", "C", "C", "C", "H", "H", "H", "H", "H", "H", "H", "H", "H", "H", "H", "H", "H", "H", "H", "H", "H", "H", "H", "H", "H", "H", "H", "H", "H", "H", "H", "H", "H", "H", "H", "H", "H", "H", "H", "H", "H", "H", "H", "H", "H", "H", "H", "H", "H", "H", "H", "H", "H", "H", "H", "H", "H", "H", "H", "H", "H", "H", "H", "H", "H", "H", "H", "H", "H", "H", "H", "H"], "positions_angstrom": [[-0.117, -3.888, 0.166], [-1.560, 0.776, 1.919], [4.034, -3.376, -2.789], [1.520, 5.919, 1.972], [0.921, -1.892, 4.492], [-5.052, -2.582, -4.070], [2.470, 4.810, 1.845], [5.205, -2.390, -3.124], [2.076, 6.908, 3.111], [4.427, -3.723, -1.261], [2.265, -2.737, 4.196], [-6.479, -2.018, -3.743], [-0.580, 1.735, 1.417], [1.034, -0.220, 0.116], [0.000, 5.921, 2.358], [0.682, -2.201, 1.909], [-2.407, 0.087, 0.744], [1.606, 6.931, 0.741], [-4.535, -1.647, -5.249], [-2.629, 1.483, 2.863], [-4.232, -1.906, -2.846], [4.480, -4.744, -3.472], [2.582, -3.177, -2.828], [-4.578, -3.961, -4.188], [1.334, -0.525, 5.428], [-1.845, -1.742, 3.093], [-3.211, -1.327, 3.176], [-0.446, -2.449, 1.130], [-0.607, 6.592, 3.478], [4.990, -4.093, -5.790], [0.549, -1.096, 2.802], [4.464, 7.332, 3.194], [-4.884, -1.952, -6.613], [1.341, 6.463, -0.590], [1.610, -0.019, 2.499], [-5.096, -0.759, 4.601], [4.190, -4.983, -4.861], [-1.874, -2.448, -2.655], [-0.113, 6.095, -0.807], [3.278, 6.645, 3.836], [-3.869, -1.668, 4.441], [-6.865, -1.205, -2.626], [2.086, 0.021, 1.039], [-1.584, -2.814, 2.061], [7.336, -2.965, -2.081], [-3.270, -2.646, -2.104], [2.690, 1.410, 0.778], [-0.809, 8.063, 3.207], [-6.357, -1.747, -6.903], [6.244, -1.934, -2.239], [-6.490, 0.244, -2.832], [3.435, -3.773, -0.241], [-0.882, -0.553, 3.012], [2.924, -5.183, -0.038], [2.619, -3.084, -0.462], [-2.017, 0.382, -0.095], [-6.465, -1.610, -1.697], [-6.675, -0.747, -6.605], [-1.828, -2.678, -3.718], [6.943, -3.921, -1.739], [2.571, -5.615, -0.976], [6.650, -1.038, -2.708], [-2.483, -3.065, 1.501], [-6.747, 0.820, -1.942], [3.446, 5.573, 3.935], [-6.551, -1.880, -7.967], [1.244, 0.948, 2.841], [2.318, -0.518, 5.690], [-3.196, -1.477, 5.278], [0.842, -0.605, 6.314], [-0.663, -1.667, 0.408], [5.827, -1.622, -1.282], [4.346, 8.415, 3.240], [-0.767, 6.917, -0.516], [-4.200, -2.711, 4.448], [-0.040, 6.413, 4.390], [-1.614, -2.177, 3.997], [3.720, 1.479, 1.132], [3.120, 7.039, 4.842], [-1.275, -3.719, 2.586], [-7.032, 0.658, -3.683], [4.822, -4.386, -6.827], [7.835, -3.138, -3.036], [8.075, -2.610, -1.362], [1.625, 7.278, -1.253], [-1.508, 8.204, 2.381], [-1.565, -1.405, -2.544], [6.055, -4.162, -5.569], [3.118, -4.858, -5.030], [-0.396, 5.225, -0.209], [-0.895, -0.118, 4.019], [-5.426, 0.359, -3.034], [4.435, -6.028, -5.039], [-5.914, -1.274, 5.099], [2.110, -5.194, 0.682], [-6.974, -2.462, -6.356], [-1.158, -3.079, -2.132], [4.547, 7.058, 2.142], [2.122, 2.175, 1.310], [-0.288, 5.855, -1.856], [-7.949, -1.297, -2.562], [-3.440, 1.690, 2.380], [3.913, -3.418, 0.677], [-3.720, -1.619, 2.353], [5.389, 7.061, 3.703], [-4.581, -2.976, -6.840], [-5.447, -0.471, 3.606], [-3.323, -2.266, -1.075], [0.883, 0.589, -0.380], [2.492, -0.211, 3.122], [3.719, -5.832, 0.332], [2.680, 1.659, -0.285], [4.702, -3.045, -5.685], [0.123, 8.554, 2.935], [1.993, 5.614, -0.810], [-4.283, -1.284, -7.227], [2.910, -0.686, 0.905], [2.992, -2.221, 3.817], [-3.532, -3.703, -2.067], [-1.574, 6.107, 3.614], [-4.847, 0.163, 5.120], [-1.217, 8.547, 4.095]], "homo_lumo_gap_ev": 9.495, "total_charge": 1, "spin_multiplicity": 1, "e_tot_ha": -4755.25436, "relative_energy_kcal_mol": 0.00, "e_lumo_ev": -2.3}
└──
So much for the molecular data:

By: @natus_vincer on twitter

Art by: @AppleTateru on twitter

Art by: @AppleTateru on twitter

By: @Squaffle on twitter

The Moogle Squad!
By: @Squaffle on twitter
Top Row Left to Right
Atticus, Jo, Yubin, Raynor, Kai
Bottom Row Left to Right
Trem, Bariah, Brit, Fang, Dani (me), Alme.